Does Car Insurance Cover Scratches and Dents?

As an auto owner, it’s essential to understand what your car insurance covers and what it doesn’t. One of the most common questions that car owners have is whether car insurance covers scratches and dents. In this article, we’ll explore this question and provide you with a comprehensive answer.

ORCA calculation (the ωB97M-V functional and the def2-TZVPD basis) on one molecule with the formula C6H13N.

```
20
C6H13N | the OMol25 dataset | the ωB97M-V functional and the def2-TZVPD basis
H -0.272 -0.130 2.371
C 0.472 -1.417 0.183
H 2.264 -0.119 0.467
N -2.165 0.803 1.870
H 1.705 1.720 -0.841
H 0.181 1.508 -2.925
H 0.131 -0.154 -2.736
H -1.774 1.711 2.119
C 1.553 -0.428 -0.296
H -1.807 -1.212 0.133
H 0.281 -2.151 -0.599
H 0.242 1.249 -0.469
H 2.084 -1.021 -1.052
C -0.876 -0.771 0.482
C 1.081 0.838 -1.035
C 0.764 0.700 -2.507
H 0.767 -2.032 1.049
C -1.024 -0.022 1.580
H -2.630 0.514 2.723
H 1.746 0.659 -3.004
```

Lowest unoccupied orbital energy   1.06 eV
Total charge   0
ΔE to the lowest compared entry with this formula, charge and spin   38.3 kcal per mole
Kohn-Sham gap   9.962 eV
Spin multiplicity   1
SMILES   CCCC/C=C/N

* * * * *

Run 1
28
Properties=species:S:1:pos:R:3:mulliken_charge:R:1 method="wB97M-V/def2-TZVPD" e_lumo_ev=-4.1960 orbital_gap_ev=9.93 charge=+1 spin_multiplicity=1 homo_energy_ev=-14.129
C -2.02366 1.58422 -0.71049 -1.170
C -1.37270 0.43632 -0.47331 0.776
C -1.90050 -0.77854 0.06717 -0.983
N -1.11320 -1.76755 0.14139 -0.583
C 0.13627 -1.41176 -0.47086 1.727
C 0.11662 -1.97967 -1.87350 -1.215
C 1.25632 -1.88691 0.40426 -1.947
N 0.06786 0.16299 -0.47328 0.101
C 0.87389 0.90938 0.54240 0.472
C 0.13580 0.61131 1.87068 -1.296
C 1.03188 2.46746 0.36519 -1.664
H -1.60118 2.31969 -1.37350 0.358
H -3.02816 1.73427 -0.24989 0.285
H -2.85846 -0.87570 0.52314 0.519
H -0.90905 -2.22398 -2.20766 0.354
H 0.84619 -2.88510 -1.92315 0.336
H 0.53004 -1.24867 -2.64755 0.259
H 1.10499 -1.62645 1.39029 0.321
H 2.20110 -1.57754 -0.11968 0.425
H 1.15180 -2.95575 0.34907 0.534
H 0.49503 0.41626 -1.31679 0.487
H 1.91240 0.57670 0.45644 0.390
H -0.71553 -0.08948 1.55669 0.460
H 0.78404 0.07098 2.67572 0.270
H -0.29985 1.42890 2.34122 0.502
H 0.13996 2.95452 0.19421 0.483
H 1.74361 2.69615 -0.41954 0.408
H 1.29447 2.93796 1.38134 0.392


Run 2
28
Properties=species:S:1:pos:R:3:mulliken_charge:R:1 method="wB97M-V/def2-TZVPD" e_lumo_ev=-3.5648 orbital_gap_ev=9.77 charge=+1 spin_multiplicity=1 homo_energy_ev=-13.336
C -3.01771 0.97388 -0.06081 -0.471
C -2.91703 -0.50142 -0.37743 -1.166
C -0.31456 -1.47274 -0.77806 -0.790
C -1.62309 1.55648 -0.06891 -0.484
C 0.12363 -0.03126 -0.84458 -0.116
C 3.79569 0.30703 0.42585 0.072
C -1.47331 -0.85060 0.16184 0.683
C 4.40347 0.94674 -0.78875 -0.937
C -1.48727 -1.21679 1.66051 -1.388
N 2.65191 -0.13457 0.62840 -0.395
N -0.90073 0.40675 -0.24188 0.356
H -3.62752 1.42860 -0.78447 0.347
H -3.45512 1.01908 0.98598 0.285
H -3.65867 -1.08652 0.05462 0.491
H -3.02556 -0.67148 -1.35861 0.422
H -0.62149 -1.89230 -1.72410 0.310
H 0.43526 -2.21462 -0.33094 0.284
H -1.44536 2.26309 -0.85662 0.444
H -1.51577 2.17225 0.87336 0.212
H 0.98112 0.46650 -1.29850 0.391
H 4.72115 0.14201 1.00233 0.282
H 5.09047 1.68691 -0.52611 0.343
H 3.66837 1.30335 -1.65849 0.216
H 5.04589 0.12975 -1.32452 0.266
## Back to the article


When you’re driving on the road, it’s almost impossible to avoid scratches and dents. Whether it’s from a minor accident or a careless driver in a parking lot, these damages can be frustrating and costly to repair. That’s why it’s important to understand whether your car insurance policy covers them.

== Unrelated to this entry: records of molecules ==
........
[1]
12
Properties=species:S:1:pos:R:3 method="wB97M-V/def2-TZVPD" spin_multiplicity=1 smiles=Cc1c(Cl)n2n1C2 max_force_ev_per_a=3.95 e_tot_ha=-724.96736 homo_ev=-8.668 relative_energy_kcal_mol=105.6
C 0.885 -1.549 0.403
C 0.076 -0.371 0.286
C -1.240 -0.046 0.126
Cl -2.710 -0.816 -0.212
N -1.052 1.333 0.355
N 0.407 1.053 0.581
C -0.017 1.739 -0.560
H 0.449 -2.410 0.012
H 1.697 -1.200 -0.221
H 1.367 -1.851 1.383
H 0.217 2.750 -0.598
H -0.079 1.368 -1.553

[2]
10
Properties=species:S:1:pos:R:3 method="wB97M-V/def2-TZVPD" spin_multiplicity=1 max_force_ev_per_a=3.26 e_tot_ha=-719.52967 homo_ev=-9.089 relative_energy_kcal_mol=27.3
C 0.671 0.957 -0.228
C -0.334 -0.076 0.227
F 0.010 2.208 -0.199
F 2.725 -1.100 -0.651
F 3.844 0.870 -0.073
P 2.700 -0.057 0.582
H 0.999 0.777 -1.215
H -1.279 0.341 0.171
H -0.382 -0.798 -0.489
H 0.030 -0.486 1.178

[3]
81
Properties=species:S:1:pos:R:3 method="wB97M-V/def2-TZVPD" spin_multiplicity=1 max_force_ev_per_a=5.62 e_tot_ha=-2702.78375 total_charge=-1 homo_ev=-6.641 relative_energy_kcal_mol=135.0
P -21.895 -1.772 -1.275
F -21.957 -1.281 -2.820
F -22.232 -0.263 -0.722
F -23.477 -2.077 -1.472
F -21.904 -2.469 0.218
F -21.491 -3.237 -1.828
F -20.390 -1.295 -1.125
O -19.708 -5.189 -11.748
C -19.348 -4.703 -10.639
O -20.238 -4.356 -9.664
C -19.523 -3.591 -8.638
C -18.455 -2.934 -9.361
C -18.017 -3.995 -10.348
H -19.245 -4.472 -8.060
H -20.008 -2.928 -7.921
H -17.608 -2.838 -8.682
H -18.768 -1.998 -9.824
H -17.342 -4.757 -9.958
H -17.491 -3.575 -11.205
O -22.598 -9.647 -1.642
C -23.149 -9.020 -2.567
O -22.548 -8.918 -3.729
C -23.235 -8.010 -4.639
C -24.673 -7.897 -4.024
C -24.459 -8.319 -2.615
H -23.322 -8.285 -5.691
H -22.685 -7.081 -4.486
H -25.334 -8.522 -4.625
H -24.933 -6.846 -3.898
H -25.243 -9.007 -2.297
H -24.462 -7.507 -1.888
O -15.908 5.395 4.179
C -16.834 4.618 3.908
O -17.411 3.820 4.801
C -18.633 3.202 4.307
C -18.976 4.229 3.207
C -17.622 4.524 2.699
H -19.364 2.892 5.054
H -18.315 2.193 4.045
H -19.635 5.056 3.474
H -19.497 3.688 2.418
H -17.595 5.436 2.102
H -17.289 3.781 1.974
O -19.232 -6.604 4.401
C -19.060 -5.937 5.418
O -18.551 -6.535 6.438
C -18.450 -5.594 7.469
C -18.592 -4.142 6.977
C -19.369 -4.458 5.674
H -17.529 -5.854 7.989
H -19.254 -5.979 8.095
H -17.611 -3.772 6.679
H -19.080 -3.610 7.794
H -18.862 -3.818 4.953
H -20.377 -4.045 5.701
C -27.634 2.307 -2.872
O -27.157 1.315 -3.804
H -27.074 3.233 -3.007
H -28.675 2.441 -3.166
H -27.535 2.022 -1.825
H -26.391 0.958 -3.350
N -13.236 0.581 -1.785
C -13.723 -0.154 -2.849
C -12.954 0.129 -3.971
C -12.040 1.003 -3.618
C -12.211 1.288 -2.298
H -13.546 0.586 -0.823
H -14.737 -0.524 -2.812
H -13.186 -0.172 -4.981
H -11.348 1.574 -4.218
H -11.931 2.063 -1.600
N -26.590 -0.112 3.563
C -26.179 -0.211 4.889
C -27.215 -0.809 5.687
C -28.379 -0.910 4.829
C -27.973 -0.361 3.569
H -26.088 0.473 2.911
H -25.179 0.089 5.167
H -27.098 -0.961 6.750
H -29.335 -1.398 4.947
H -28.426 -0.327 2.590

[4]
15
........

Understanding Comprehensive and Collision Coverage

To understand whether your car insurance covers scratches and dents, you need to know what kind of coverage you have. The two primary types of coverage are comprehensive and collision coverage.

Comprehensive coverage covers damages to your car that are not the result of a collision. This includes damages from theft, vandalism, fire, or weather-related events such as hail, floods, or falling objects. It does not cover damages from collisions with other vehicles or objects.

## Records of molecules from another source follow
ORCA calculation (the ωB97M-V functional and the def2-TZVPD basis) on C18H17N4O4Pt as an isolated structure at a distorted geometry.

## Properties
* total energy: -1335.057710 Eh
* ⟨S²⟩: 2.01
* HOMO-LUMO gap (alpha / beta): 6.08 / 6.06 eV
* charge: +1
* LUMO (alpha / beta): -4.198 / -4.628 eV
* multiplicity: 3

Geometry as XYZ:
```
44
Properties=species:S:1:pos:R:3:forces:R:3
C -1.6448 -1.8504 -2.5608 1.60 1.78 -0.60
C 3.7968 -1.7306 -1.1038 0.71 -1.60 0.19
H -3.0610 -3.0921 3.2927 0.78 1.76 0.43
H -3.7283 -4.0394 1.8982 0.70 0.49 -0.87
C -3.1584 -3.4984 -1.4274 -0.09 -0.87 -0.21
H 4.7546 -0.5586 1.2349 -0.94 0.95 -0.90
H 3.5067 0.7721 1.2245 0.23 -0.07 -0.22
C -1.5925 1.9848 -0.0146 -0.89 0.44 0.07
C 1.9735 -0.6454 -0.2311 -2.73 0.57 0.65
H 3.7853 -1.4858 -2.1465 -0.11 0.37 -0.63
H -1.8294 -2.0422 -4.4695 0.04 0.13 0.39
C 1.1892 4.3995 -0.6047 -0.09 -0.35 0.48
O -1.3990 -0.7157 2.3334 -1.82 -2.30 -0.19
H -1.9868 2.1038 -1.0479 0.21 0.03 0.55
H -3.4250 -3.9320 -2.4237 0.23 0.69 1.13
Pt -0.9389 -0.0092 -0.0478 -3.59 2.84 0.58
H -0.9496 3.2720 2.4498 0.60 0.10 -0.69
N -1.8962 -1.9243 -0.1272 -1.09 -1.41 0.89
N 0.8154 -0.6021 -0.1489 4.64 -1.31 -0.22
O -2.2379 -2.3637 -3.6451 0.26 0.02 0.06
C 4.1210 0.1358 0.5796 0.22 -1.15 1.06
C -0.5915 3.0432 0.2969 -1.00 0.63 0.26
C -2.4088 -2.4573 1.0460 -0.18 -0.54 -2.14
C 0.0037 3.7053 -0.7851 0.43 -0.16 0.11
O -2.6197 -2.1942 3.4279 -0.89 -1.98 -0.03
C -2.2612 -2.4366 -1.3131 0.08 -0.17 0.54
H 4.8615 -1.8565 -0.8249 -0.69 -0.15 -0.02
C -0.3008 3.5447 1.5902 0.06 -1.03 0.27
N 4.2328 4.4868 1.0179 1.18 -0.03 0.22
C -2.1071 -1.7436 2.3059 2.26 2.93 0.31
H 1.2353 4.3947 2.7886 0.43 0.29 0.96
H -0.4849 3.5936 -1.7453 0.42 -0.03 -0.19
H 3.2295 -2.7052 -0.9903 0.76 1.10 0.12
H -2.4485 1.9412 0.7013 0.59 0.10 -0.31
C 0.9078 4.2066 1.8060 -0.94 -0.67 -1.65
C -3.2384 -3.5771 1.0041 -0.89 -0.21 -0.54
H -4.3317 -4.9087 -0.3389 0.15 0.05 0.19
O -0.7386 -1.0104 -2.5960 -2.11 -1.99 0.00
C 1.7204 4.4825 0.6911 -1.50 -0.32 0.36
N 3.2332 -0.6820 -0.2746 2.23 -0.28 -0.04
C -3.6313 -4.0838 -0.2586 0.24 0.39 0.32
C 3.0997 4.5597 0.9000 0.33 0.66 -0.25
H 4.7746 0.7220 -0.0472 0.13 0.28 -0.11
H 1.7693 4.7972 -1.4159 0.03 0.02 -0.35
```
Positions in Å, forces in eV/Å.

Collision coverage, on the other hand, covers damages to your car resulting from collisions with other vehicles or objects, such as walls or trees. This coverage may also include damages resulting from a hit-and-run accident.

Does Car Insurance Cover Scratches and Dents?

Whether car insurance covers scratches and dents depends on the type of coverage you have. Scratches and dents are typically considered cosmetic damages, which are not covered under collision coverage. However, if the scratches and dents were caused by an event covered by comprehensive coverage, such as vandalism or hail damage, then your car insurance policy may cover them.

It’s important to note that car insurance policies vary, and some policies may offer additional coverage for scratches and dents. For example, some policies may offer a separate cosmetic damage coverage that specifically covers minor damages such as scratches and dents. These scratches and dents are very normal, it can easily with a good buffer pads with your buffing machine.

How to File a Claim for Scratches and Dents

If you have comprehensive coverage and your car insurance policy covers scratches and dents, you can file a claim to have the damages repaired. To file a claim, you’ll need to contact your insurance company and provide them with the details of the damages. They may ask you to provide photos of the damages or to bring your car to an approved repair shop for an estimate.

Once your claim is approved, your insurance company will either pay for the damages directly or reimburse you for the cost of repairs. It’s important to note that you’ll typically be responsible for paying your deductible, which is the amount you agreed to pay when you purchased your car insurance policy.


In conclusion, whether car insurance covers scratches and dents depends on the type of coverage you have. While collision coverage typically does not cover cosmetic damages, such as scratches and dents, comprehensive coverage may cover them if they are caused by a covered event. It’s essential to review your car insurance policy and understand what kind of coverage you have and what damages are covered. If you have any questions or concerns, it’s always best to contact your insurance company directly. More information about us please go to our website.